_Data_
-- begin --
Record 1
ORCA calculation (ωB97M-V/def2-TZVPD) on a molecular structure, C24H34CsO3 in a non-equilibrium geometry.

Computed properties:
* HOMO-LUMO gap: 7.6 eV
* M: 503.438 g/mol
* HOMO energy: -11.51 eV
* maximum force: 0.166 Eh/bohr
* net charge: +1

CARTESIAN COORDINATES (ANGSTROEM)
C1 1.758 -4.490 0.595
C2 1.942 -4.443 -1.058
C3 2.555 -3.028 -1.614
C4 4.205 -2.885 -1.397
C5 4.390 -1.875 -0.079
C6 4.762 -0.332 -0.487
C7 4.551 0.754 0.768
C8 2.958 0.699 1.152
C9 2.445 1.915 2.139
C10 1.150 1.283 2.988
C11 0.070 0.507 2.020
C12 0.041 -0.952 1.724
C13 -1.068 -1.645 0.688
O1 -1.490 -2.916 0.791
C14 -1.617 -0.621 -0.515
C15 -2.100 -1.214 -1.995
C16 -2.633 -0.122 -3.110
C17 -2.723 1.504 -2.766
C18 -2.242 2.134 -1.297
C19 -2.333 3.741 -0.953
O2 -3.281 4.090 0.117
C20 -4.680 3.860 -0.275
C21 -5.421 2.767 0.752
C22 -5.048 1.206 0.417
C23 -1.667 1.019 -0.191
C24 -1.107 1.453 1.302
O3 -1.535 2.490 2.025
H1 2.769 -4.837 1.113
H2 1.417 -3.460 1.035
H3 0.873 -5.255 0.832
H4 0.835 -4.550 -1.490
H5 2.515 -5.404 -1.402
H6 1.963 -2.163 -1.093
H7 2.269 -2.975 -2.772
H8 4.612 -2.350 -2.356
H9 4.630 -3.960 -1.215
H10 5.263 -2.348 0.584
H11 3.410 -2.003 0.549
H12 4.122 -0.057 -1.435
H13 5.920 -0.239 -0.760
H14 4.777 1.821 0.285
H15 5.276 0.552 1.665
H16 2.291 0.746 0.187
H17 2.804 -0.307 1.777
H18 2.087 2.818 1.479
H19 3.273 2.288 2.897
H20 1.543 0.616 3.894
H21 0.645 2.232 3.503
H22 0.876 -1.623 2.238
H23 -2.048 -2.357 -2.265
H24 -2.950 -0.580 -4.165
H25 -3.159 2.178 -3.645
H26 -2.554 4.429 -1.874
H27 -1.254 4.056 -0.553
H28 -5.253 4.887 -0.071
H29 -4.837 3.557 -1.398
H30 -5.042 2.967 1.866
H31 -6.608 2.859 0.680
H32 -4.753 1.070 -0.708
H33 -4.214 0.860 1.181
H34 -5.971 0.482 0.609
Cs1 -7.408 1.152 -0.914


Record 2
ORCA calculation (ωB97M-V/def2-TZVPD) on a molecular structure, C24H34F24IN5O4P in a non-equilibrium geometry.

Computed properties:
* HOMO-LUMO gap: 8.2 eV
* M: 1070.397 g/mol
* HOMO energy: -12.11 eV
* maximum force: 0.021 Eh/bohr
* net charge: +1

CARTESIAN COORDINATES (ANGSTROEM)
C1 -3.474 1.335 -2.783
C2 -3.373 -0.114 -2.271
P1 -3.043 -0.212 -0.485
C3 -3.031 -2.035 -0.202
N1 -1.268 0.139 -0.393
C4 -0.420 0.419 -1.557
C5 -0.188 1.941 -1.654
O1 -0.495 2.673 -0.747
N2 0.285 2.355 -2.896
C6 1.641 1.843 -3.191
C7 0.230 3.814 -3.036
C8 -0.718 0.219 0.781
N3 -1.432 0.005 1.944
I1 -1.938 1.752 2.899
N4 0.644 0.497 0.878
C9 1.445 -0.754 0.903
N5 2.294 -0.794 -0.278
H1 -2.556 1.637 -3.290
H2 -4.294 1.429 -3.492
H3 -3.661 2.038 -1.969
H4 -4.306 -0.663 -2.420
H5 -2.625 -0.666 -2.846
H6 -3.565 -2.542 -1.005
H7 -2.018 -2.443 -0.162
H8 -3.522 -2.253 0.746
H9 0.510 -0.140 -1.474
H10 -0.906 0.091 -2.466
H11 2.393 2.529 -2.789
H12 1.778 1.754 -4.267
H13 1.803 0.868 -2.736
H14 0.970 4.314 -2.406
H15 -0.764 4.169 -2.773
H16 0.423 4.060 -4.079
H17 -2.251 -0.578 1.820
H18 0.769 0.978 1.764
H19 0.789 -1.629 0.849
H20 1.985 -0.838 1.850
H21 3.058 -1.439 -0.121
H22 2.670 0.121 -0.495
C10 -8.980 -0.248 -0.640
C11 -7.477 0.050 -0.663
C12 -6.981 1.339 0.003
F1 -7.467 2.428 -0.613
F2 -5.628 1.354 -0.119
F3 -6.993 -0.017 -1.922
F4 -6.878 -0.955 0.057
O2 -9.685 0.063 -1.817
C13 -10.261 1.288 -2.010
C14 -9.717 1.964 -3.278
F5 -8.382 2.138 -3.166
F6 -10.297 3.172 -3.409
F7 -10.127 2.084 -0.936
F8 -11.582 1.096 -2.213
H23 -9.044 -1.333 -0.557
H24 -9.446 0.177 0.249
H25 -7.245 1.364 1.063
H26 -9.934 1.349 -4.153
C15 4.626 -4.319 3.292
C16 3.346 -3.745 2.675
C17 2.352 -4.720 2.030
F9 2.901 -5.340 0.973
F10 1.282 -4.005 1.586
F11 3.646 -2.759 1.794
F12 2.649 -3.173 3.703
O3 5.786 -4.231 2.499
C18 6.140 -5.221 1.626
C19 6.270 -4.673 0.197
F13 5.089 -4.146 -0.203
F14 6.590 -5.683 -0.633
F15 5.296 -6.265 1.675
F16 7.364 -5.668 1.977
H27 4.828 -3.680 4.150
H28 4.454 -5.328 3.667
H29 2.005 -5.459 2.756
H30 7.042 -3.903 0.162
C20 4.278 2.195 2.446
C21 5.352 2.318 3.536
C22 6.222 3.581 3.557
F17 6.959 3.659 2.431
F18 7.057 3.500 4.612
F19 6.134 1.223 3.536
F20 4.660 2.347 4.716
O4 4.611 1.393 1.326
C23 5.213 1.937 0.230
C24 6.554 1.257 -0.080
F21 7.393 1.417 0.957
-- stop --
_Assignment_
Please repeat all of the material further up without altering anything.
_Here it is_
Record 1
ORCA calculation (ωB97M-V/def2-TZVPD) on a molecular structure, C24H34CsO3 in a non-equilibrium geometry.

Computed properties:
* HOMO-LUMO gap: 7.6 eV
* M: 503.438 g/mol
* HOMO energy: -11.51 eV
* maximum force: 0.166 Eh/bohr
* net charge: +1

CARTESIAN COORDINATES (ANGSTROEM)
C1 1.758 -4.490 0.595
C2 1.942 -4.443 -1.058
C3 2.555 -3.028 -1.614
C4 4.205 -2.885 -1.397
C5 4.390 -1.875 -0.079
C6 4.762 -0.332 -0.487
C7 4.551 0.754 0.768
C8 2.958 0.699 1.152
C9 2.445 1.915 2.139
C10 1.150 1.283 2.988
C11 0.070 0.507 2.020
C12 0.041 -0.952 1.724
C13 -1.068 -1.645 0.688
O1 -1.490 -2.916 0.791
C14 -1.617 -0.621 -0.515
C15 -2.100 -1.214 -1.995
C16 -2.633 -0.122 -3.110
C17 -2.723 1.504 -2.766
C18 -2.242 2.134 -1.297
C19 -2.333 3.741 -0.953
O2 -3.281 4.090 0.117
C20 -4.680 3.860 -0.275
C21 -5.421 2.767 0.752
C22 -5.048 1.206 0.417
C23 -1.667 1.019 -0.191
C24 -1.107 1.453 1.302
O3 -1.535 2.490 2.025
H1 2.769 -4.837 1.113
H2 1.417 -3.460 1.035
H3 0.873 -5.255 0.832
H4 0.835 -4.550 -1.490
H5 2.515 -5.404 -1.402
H6 1.963 -2.163 -1.093
H7 2.269 -2.975 -2.772
H8 4.612 -2.350 -2.356
H9 4.630 -3.960 -1.215
H10 5.263 -2.348 0.584
H11 3.410 -2.003 0.549
H12 4.122 -0.057 -1.435
H13 5.920 -0.239 -0.760
H14 4.777 1.821 0.285
H15 5.276 0.552 1.665
H16 2.291 0.746 0.187
H17 2.804 -0.307 1.777
H18 2.087 2.818 1.479
H19 3.273 2.288 2.897
H20 1.543 0.616 3.894
H21 0.645 2.232 3.503
H22 0.876 -1.623 2.238
H23 -2.048 -2.357 -2.265
H24 -2.950 -0.580 -4.165
H25 -3.159 2.178 -3.645
H26 -2.554 4.429 -1.874
H27 -1.254 4.056 -0.553
H28 -5.253 4.887 -0.071
H29 -4.837 3.557 -1.398
H30 -5.042 2.967 1.866
H31 -6.608 2.859 0.680
H32 -4.753 1.070 -0.708
H33 -4.214 0.860 1.181
H34 -5.971 0.482 0.609
Cs1 -7.408 1.152 -0.914


Record 2
ORCA calculation (ωB97M-V/def2-TZVPD) on a molecular structure, C24H34F24IN5O4P in a non-equilibrium geometry.

Computed properties:
* HOMO-LUMO gap: 8.2 eV
* M: 1070.397 g/mol
* HOMO energy: -12.11 eV
* maximum force: 0.021 Eh/bohr
* net charge: +1

CARTESIAN COORDINATES (ANGSTROEM)
C1 -3.474 1.335 -2.783
C2 -3.373 -0.114 -2.271
P1 -3.043 -0.212 -0.485
C3 -3.031 -2.035 -0.202
N1 -1.268 0.139 -0.393
C4 -0.420 0.419 -1.557
C5 -0.188 1.941 -1.654
O1 -0.495 2.673 -0.747
N2 0.285 2.355 -2.896
C6 1.641 1.843 -3.191
C7 0.230 3.814 -3.036
C8 -0.718 0.219 0.781
N3 -1.432 0.005 1.944
I1 -1.938 1.752 2.899
N4 0.644 0.497 0.878
C9 1.445 -0.754 0.903
N5 2.294 -0.794 -0.278
H1 -2.556 1.637 -3.290
H2 -4.294 1.429 -3.492
H3 -3.661 2.038 -1.969
H4 -4.306 -0.663 -2.420
H5 -2.625 -0.666 -2.846
H6 -3.565 -2.542 -1.005
H7 -2.018 -2.443 -0.162
H8 -3.522 -2.253 0.746
H9 0.510 -0.140 -1.474
H10 -0.906 0.091 -2.466
H11 2.393 2.529 -2.789
H12 1.778 1.754 -4.267
H13 1.803 0.868 -2.736
H14 0.970 4.314 -2.406
H15 -0.764 4.169 -2.773
H16 0.423 4.060 -4.079
H17 -2.251 -0.578 1.820
H18 0.769 0.978 1.764
H19 0.789 -1.629 0.849
H20 1.985 -0.838 1.850
H21 3.058 -1.439 -0.121
H22 2.670 0.121 -0.495
C10 -8.980 -0.248 -0.640
C11 -7.477 0.050 -0.663
C12 -6.981 1.339 0.003
F1 -7.467 2.428 -0.613
F2 -5.628 1.354 -0.119
F3 -6.993 -0.017 -1.922
F4 -6.878 -0.955 0.057
O2 -9.685 0.063 -1.817
C13 -10.261 1.288 -2.010
C14 -9.717 1.964 -3.278
F5 -8.382 2.138 -3.166
F6 -10.297 3.172 -3.409
F7 -10.127 2.084 -0.936
F8 -11.582 1.096 -2.213
H23 -9.044 -1.333 -0.557
H24 -9.446 0.177 0.249
H25 -7.245 1.364 1.063
H26 -9.934 1.349 -4.153
C15 4.626 -4.319 3.292
C16 3.346 -3.745 2.675
C17 2.352 -4.720 2.030
F9 2.901 -5.340 0.973
F10 1.282 -4.005 1.586
F11 3.646 -2.759 1.794
F12 2.649 -3.173 3.703
O3 5.786 -4.231 2.499
C18 6.140 -5.221 1.626
C19 6.270 -4.673 0.197
F13 5.089 -4.146 -0.203
F14 6.590 -5.683 -0.633
F15 5.296 -6.265 1.675
F16 7.364 -5.668 1.977
H27 4.828 -3.680 4.150
H28 4.454 -5.328 3.667
H29 2.005 -5.459 2.756
H30 7.042 -3.903 0.162
C20 4.278 2.195 2.446
C21 5.352 2.318 3.536
C22 6.222 3.581 3.557
F17 6.959 3.659 2.431
F18 7.057 3.500 4.612
F19 6.134 1.223 3.536
F20 4.660 2.347 4.716
O4 4.611 1.393 1.326
C23 5.213 1.937 0.230
C24 6.554 1.257 -0.080
F21 7.393 1.417 0.957